Citation Finder

Have you ever failed a plagiarism check despite writing your paper on your own? It sure feels unfair to be accused of cheating after working hard. But it doesn’t mean that the checker is broken. Whenever you use sources to support your ideas, you might unintentionally plagiarize – and that’s why you’re getting flagged. But there’s an easy way to avoid this mistake and never risk your academic reputation again. Have you heard of citation finders?

Identifying sources

Citation finders exist to help you attribute ideas to specific sources. If you didn’t come up with something, you can’t claim it as yours – simple as that. Putting information from another source in your own words isn’t enough either. Even if a plagiarism checker doesn’t flag you, your instructor might get suspicious. So you better use a citation finder, which will help you protect your grades without wasting time fumbling with sources

# Records of crystals, as found in the file
For LaSbMo2O9, a DFT-relaxed cell (GGA+U, Alexandria) gives the simulated powder XRD pattern in this record (Cu Kα (weighted mean of Kα1 and Kα2)).

Principal peaks in the range 2θ = 10–90°, low angle first:
Position (°2θ), I_rel
22.48, 57
23.62, 21
24.11, 51
25.58, 57
26.75, 100
27.41, 28
31.04, 19
45.71, 26
46.50, 26
49.37, 18

Crystal structure
```
LaSbMo2O9
1.0
6.685 -7.453 0.000
6.685 7.453 0.000
-6.117 0.000 9.333
La Sb Mo O
4 4 8 36
Direct
0.124 0.876 0.750
0.324 0.676 0.250
0.676 0.324 0.750
0.876 0.124 0.250
0.356 0.376 0.461
0.376 0.356 0.961
0.624 0.644 0.039
0.644 0.624 0.539
0.050 0.259 0.025
0.062 0.436 0.696
0.259 0.050 0.525
0.436 0.062 0.196
0.564 0.938 0.804
0.741 0.950 0.475
0.938 0.564 0.304
0.950 0.741 0.975
0.012 0.693 0.488
0.052 0.227 0.174
0.064 0.098 0.900
0.085 0.559 0.250
0.098 0.064 0.400
0.122 0.704 0.061
0.137 0.617 0.719
0.216 0.379 0.802
0.217 0.404 0.074
0.227 0.052 0.674
0.296 0.878 0.439
0.307 0.988 0.012
0.379 0.216 0.302
0.383 0.863 0.781
0.404 0.217 0.574
0.425 0.540 0.403
0.441 0.915 0.250
0.460 0.575 0.097
0.540 0.425 0.903
0.559 0.085 0.750
0.575 0.460 0.597
0.596 0.783 0.426
0.617 0.137 0.219
0.621 0.784 0.698
0.693 0.012 0.988
0.704 0.122 0.561
0.773 0.948 0.326
0.783 0.596 0.926
0.784 0.621 0.198
0.863 0.383 0.281
0.878 0.296 0.939
0.902 0.936 0.600
0.915 0.441 0.750
0.936 0.902 0.100
0.948 0.773 0.826
0.988 0.307 0.512
```

----------

Computed powder XRD pattern
Compound: BaV4O9
Radiation: a wavelength of 1.5418 Å
Structure: a GGA+U-relaxed structure
Lines closer than 0.1° are merged.

Main lines, low angle first (2θ = 5–70°):
| 2theta | d/Å | intensity |
| --- | --- | --- |
| 21.5 | 4.137 | 64 |
| 27.0 | 3.307 | 100 |
| 28.6 | 3.120 | 78 |
| 33.1 | 2.704 | 96 |
| 34.5 | 2.602 | 29 |
| 39.1 | 2.305 | 25 |
| 40.0 | 2.255 | 33 |
| 44.9 | 2.018 | 30 |
| 50.2 | 1.818 | 34 |
| 54.6 | 1.681 | 35 |

Structure:
Cell: 7.903 5.093 9.579 Å, 90.00 111.60 90.00°
Element x y z (fractional)
Ba  0.000  0.171  0.250
Ba  0.000  0.829  0.750
V  0.307  0.242  0.653
V  0.307  0.758  0.153
V  0.448  0.257  0.055
V  0.448  0.743  0.555
V  0.552  0.257  0.445
V  0.552  0.743  0.945
V  0.693  0.242  0.847
V  0.693  0.758  0.347
O  0.119  0.373  0.661
O  0.119  0.627  0.161
O  0.230  0.065  0.064
O  0.230  0.935  0.564
O  0.326  0.403  0.475
O  0.326  0.597  0.975
O  0.413  0.077  0.851
O  0.413  0.923  0.351
O  0.500  0.476  0.250
O  0.500  0.524  0.750
O  0.587  0.077  0.649
O  0.587  0.923  0.149
O  0.674  0.403  0.025
O  0.674  0.597  0.525
O  0.770  0.065  0.436
O  0.770  0.935  0.936
O  0.881  0.373  0.839
O  0.881  0.627  0.339


Computed powder XRD pattern
Compound: BaV4O7
Radiation: a wavelength of 1.5418 Å
Structure: a GGA+U-relaxed structure
Lines closer than 0.1° are merged.

Main lines, low angle first (2θ = 5–70°):
| 2theta | d/Å | intensity |
| --- | --- | --- |
| 16.2 | 5.477 | 44 |
| 17.5 | 5.068 | 44 |
| 27.0 | 3.301 | 16 |
| 29.0 | 3.077 | 45 |
| 31.7 | 2.827 | 46 |
| 32.4 | 2.766 | 100 |

Giving credit

Citation finders can identify all the sources referenced in your document. They can link quotes, ideas, and paraphrased content back to their original authors. They will have your back if you neglect to properly cite a source or even forget where exactly you got your information from. For example, you might remember the author’s name but not the title of the work. Finders can give you a list of everything this author has ever written to help you identify the right match.

Verify Credibility

Citation finders can identify all the sources referenced in your document. They can link quotes, ideas, and paraphrased content back to their original authors. They will have your back if you neglect to properly cite a source or even forget where exactly you got your information from. For example, you might remember the author’s name but not the title of the work. Finders can give you a list of everything this author has ever written to help you identify the right match.

Verifying credibility

When citation finders locate your sources, they give you extra data. You can learn more about publication dates, journal names, author credentials, and other important details that make a difference between trustworthy and sketchy sources. The problem with sketchy sources is that they often steal their information, so they might drag you into plagiarizing. If you don’t want to be an accomplice in someone else’s transgression, you better make sure that all your references are legit.

Streamlining citations

The bigger your assignment is, the harder you may find it to reference all used sources. Citation finders can organize your references for you, creating a clear record in your preferred style, such as APA, MLA, or Chicago. They eliminate errors that could lead to plagiarism claims and make sure you don’t forget a necessary citation. This service is especially useful when you’re rushing to complete your paper and have no time for nitpicking.

Avoiding unintentional plagiarism

What if you use only a couple of sources or write your own ideas? You’re still at risk because plagiarism detection can be tricky. You may fall victim to false flags that highlight common knowledge. Or you might unintentionally use information you saw somewhere before, forgetting that it’s not your original idea. You might also use a source that has been proven wrong or no longer exists. There are so many possible pitfalls, so you had better watch out!

Finding overlaps with existing texts. Many citation finders have plagiarism detection features as an extra service. They make it convenient for you to quickly check if your paper has any similarities with existing publications. Then, you can cite an extra source or try phrasing your ideas differently to avoid the risk. This is super convenient because you can do everything on the same site without wasting time on finding credible plagiarism checkers. Just stick with your favorite citation finder and you’re good!

Tracking and updating references. If you’re writing a lot of research papers, you must know that findings can get updates at any time. So if you want to use the same sources in multiple assignments, you have to make sure that their information is still relevant. It can be such a hassle if you have over 10 references on your list. But citation finders make this process easier because you can use them to see if your sources have been updated. These finders keep track of all publications in real-time, so you don’t have to Google every reference individually.

Learning about citation practices. Citation finders can be useful educational sources because they include guides on proper referencing. Are you too tired to read a long official guide from your school? Finders strive to save your time and energy as they summarize the most important information. You can learn how to write ethically and develop skills for avoiding intentional or accidental plagiarism. This way, you can become a more independent student and won’t have to rely on citation finders your entire academic career.

Citation finders are simple and free tools that can make your studies less stressful. They might have some paid extra features, but you don’t have to spend money to access the base service. So if you’re struggling with plagiarism checkers, you should definitely give citation finders a try. It’s better to spend a few minutes dealing with your sources than to be accused of cheating and risk your entire academic career.